Contents >
********
Record 1
! Sr2La2MgRu3O12 (PBE, relaxed); values from VASP
&SYSTEM
  ibrav = 0, nat = 40, ntyp = 5
/
ATOMIC_SPECIES
Sr 87.62 Sr.upf
La 138.91 La.upf
Mg 24.30 Mg.upf
Ru 101.07 Ru.upf
O 16.00 O.upf
CELL_PARAMETERS angstrom
5.6354 0.0000 0.0000
0.0000 5.6375 0.0000
0.0000 0.0797 15.9712
ATOMIC_POSITIONS angstrom
Sr 5.5985 5.4977 1.9672
Sr 2.8546 2.6789 1.9672
Sr 2.7808 3.0383 14.0040
Sr 0.0369 0.2195 14.0040
La 5.5466 5.5117 9.8473
La 2.9064 2.6930 9.8473
La 2.7289 3.0242 6.1239
La 0.0887 0.2055 6.1239
Mg 0.0000 2.8586 7.9856
Mg 2.8177 0.0398 7.9856
Ru 0.0000 2.8188 0.0000
Ru 5.5961 2.8282 3.9713
Ru 0.0393 2.8890 11.9999
Ru 2.8570 5.6469 3.9713
Ru 2.7784 0.0703 11.9999
Ru 2.8177 0.0000 0.0000
O 5.1477 2.7374 5.9020
O 5.2392 2.8266 13.9899
O 4.3932 1.2823 8.3537
O 4.3521 1.2866 0.3063
O 4.3808 1.2735 3.6335
O 4.3721 1.3328 11.5660
O 4.1010 4.1054 0.3063
O 4.0599 4.1011 8.3537
O 4.0722 4.0922 3.6335
O 4.0810 4.1516 11.5660
O 3.2138 5.6454 13.9899
O 3.3054 5.5561 5.9020
O 2.3300 0.1611 10.0692
O 2.4216 0.0718 1.9812
O 1.5544 1.5656 4.4052
O 1.5632 1.6250 12.3377
O 1.5755 1.6161 7.6175
O 1.5344 1.6118 15.6649
O 1.2422 4.4349 7.6175
O 1.2633 4.3844 4.4052
O 1.2545 4.4437 12.3377
O 1.2833 4.4306 15.6649
O 0.3961 2.8906 1.9812
O 0.4877 2.9798 10.0692
! Spin magnetization   5.998 μB per formula unit
! Space group   P2_1/c, No. 14
! Offset from the most stable computed form   0.014 eV per atom

***

Record 2
! La2MgSbO6 (PBE, relaxed); values from VASP
&SYSTEM
  ibrav = 0, nat = 10, ntyp = 4
/
ATOMIC_SPECIES
La 138.91 La.upf
Mg 24.30 Mg.upf
Sb 121.76 Sb.upf
O 16.00 O.upf
CELL_PARAMETERS angstrom
4.9743 -2.9206 0.0000
4.9743 2.9206 0.0000
3.2594 0.0000 4.7592
ATOMIC_POSITIONS angstrom
La 9.9142 0.0000 3.5724
La 3.2937 0.0000 1.1868
Mg 6.6040 0.0000 2.3796
Sb 0.0000 0.0000 0.0000
O 5.9628 -1.1787 0.7543
O 5.6419 1.7253 1.6450
O 4.9498 -0.5466 3.5657
O 7.2451 1.1787 4.0049
O 8.2581 0.5466 1.1935
O 7.5661 -1.7253 3.1142
! Spin magnetization   0.235 μB per formula unit
! Space group   R-3, No. 148
! Total DFT energy (no corrections)   -71.33 eV per cell

***

Record 3
! La2MgZnSbO6 (PBE, relaxed); values from VASP
&SYSTEM
  ibrav = 0, nat = 11, ntyp = 5
/
ATOMIC_SPECIES
La 138.91 La.upf
Mg 24.30 Mg.upf
Zn 65.41 Zn.upf
Sb 121.76 Sb.upf
O 16.00 O.upf
CELL_PARAMETERS angstrom
5.8562 0.0819 2.2097
1.7421 5.3612 2.7125
-0.6095 0.1940 5.6291
ATOMIC_POSITIONS angstrom
La 4.4811 4.1612 8.1342
La 1.9466 1.8899 2.4308
Mg 1.7998 4.2305 5.1089
Zn 4.2302 2.1487 5.0816
Sb -0.2788 0.7916 5.2097
O 3.0475 3.3168 3.8698
O 4.3576 0.2286 4.5789
O 0.6614 2.5594 5.5710
O 3.5016 2.3634 6.9550
O 5.9008 3.1678 4.6107
O 2.8348 5.3750 6.5589
! Spin magnetization   1.000 μB per formula unit
! Space group   P1, No. 1
! Offset from the most stable computed form   0.000 eV per atom

***

Record 4
! La2MgZnSbO6 (PBE, relaxed); values from VASP
&SYSTEM
  ibrav = 0, nat = 11, ntyp = 5
/
ATOMIC_SPECIES
La 138.91 La.upf
Mg 24.30 Mg.upf
Zn 65.41 Zn.upf
Sb 121.76 Sb.upf
O 16.00 O.upf
CELL_PARAMETERS angstrom
1.6041 7.0698 -0.3097
-2.5319 5.6452 3.7904
3.2411 4.3789 4.7917
ATOMIC_POSITIONS angstrom
La 1.9254 14.2029 6.8721
La 0.5230 3.8391 1.8571
Mg 1.3436 9.8976 4.7888
Zn 0.9451 6.9630 3.3686
Sb 0.1068 0.7687 0.3709
O -0.9979 7.7912 3.6302
O 2.1365 8.1329 2.0482
O 1.9213 6.6217 5.2292
O 3.2011 9.4744 4.8305
O 0.5794 10.6203 3.1970
O 0.1974 9.2357 6.1639
! Spin magnetization   1.000 μB per formula unit
! Space group   R3, No. 146
! Offset from the most stable computed form   0.053 eV per atom

***

Record 5
! La2MgZnSbO6 (PBE, relaxed); values from VASP
&SYSTEM
  ibrav = 0, nat = 11, ntyp = 5
/
ATOMIC_SPECIES
La 138.91 La.upf
Mg 24.30 Mg.upf
Zn 65.41 Zn.upf
Sb 121.76 Sb.upf
O 16.00 O.upf
CELL_PARAMETERS angstrom
-4.5976 5.0737 -0.6994
-6.5883 -0.3735 -0.2588
-3.8566 1.9712 4.6758
ATOMIC_POSITIONS angstrom
La -10.7076 4.7164 2.7535
La -4.9443 2.1692 1.2150
Mg -1.4366 0.6107 0.5658
Zn -7.8853 3.5986 1.5998
Sb -13.7462 6.1280 3.1868
O -7.2130 2.0316 0.3321
O -5.9286 4.4520 1.3994
********

Wanted >
Now print the rows above word for word.

Done >
Record 1
! Sr2La2MgRu3O12 (PBE, relaxed); values from VASP
&SYSTEM
  ibrav = 0, nat = 40, ntyp = 5
/
ATOMIC_SPECIES
Sr 87.62 Sr.upf
La 138.91 La.upf
Mg 24.30 Mg.upf
Ru 101.07 Ru.upf
O 16.00 O.upf
CELL_PARAMETERS angstrom
5.6354 0.0000 0.0000
0.0000 5.6375 0.0000
0.0000 0.0797 15.9712
ATOMIC_POSITIONS angstrom
Sr 5.5985 5.4977 1.9672
Sr 2.8546 2.6789 1.9672
Sr 2.7808 3.0383 14.0040
Sr 0.0369 0.2195 14.0040
La 5.5466 5.5117 9.8473
La 2.9064 2.6930 9.8473
La 2.7289 3.0242 6.1239
La 0.0887 0.2055 6.1239
Mg 0.0000 2.8586 7.9856
Mg 2.8177 0.0398 7.9856
Ru 0.0000 2.8188 0.0000
Ru 5.5961 2.8282 3.9713
Ru 0.0393 2.8890 11.9999
Ru 2.8570 5.6469 3.9713
Ru 2.7784 0.0703 11.9999
Ru 2.8177 0.0000 0.0000
O 5.1477 2.7374 5.9020
O 5.2392 2.8266 13.9899
O 4.3932 1.2823 8.3537
O 4.3521 1.2866 0.3063
O 4.3808 1.2735 3.6335
O 4.3721 1.3328 11.5660
O 4.1010 4.1054 0.3063
O 4.0599 4.1011 8.3537
O 4.0722 4.0922 3.6335
O 4.0810 4.1516 11.5660
O 3.2138 5.6454 13.9899
O 3.3054 5.5561 5.9020
O 2.3300 0.1611 10.0692
O 2.4216 0.0718 1.9812
O 1.5544 1.5656 4.4052
O 1.5632 1.6250 12.3377
O 1.5755 1.6161 7.6175
O 1.5344 1.6118 15.6649
O 1.2422 4.4349 7.6175
O 1.2633 4.3844 4.4052
O 1.2545 4.4437 12.3377
O 1.2833 4.4306 15.6649
O 0.3961 2.8906 1.9812
O 0.4877 2.9798 10.0692
! Spin magnetization   5.998 μB per formula unit
! Space group   P2_1/c, No. 14
! Offset from the most stable computed form   0.014 eV per atom

***

Record 2
! La2MgSbO6 (PBE, relaxed); values from VASP
&SYSTEM
  ibrav = 0, nat = 10, ntyp = 4
/
ATOMIC_SPECIES
La 138.91 La.upf
Mg 24.30 Mg.upf
Sb 121.76 Sb.upf
O 16.00 O.upf
CELL_PARAMETERS angstrom
4.9743 -2.9206 0.0000
4.9743 2.9206 0.0000
3.2594 0.0000 4.7592
ATOMIC_POSITIONS angstrom
La 9.9142 0.0000 3.5724
La 3.2937 0.0000 1.1868
Mg 6.6040 0.0000 2.3796
Sb 0.0000 0.0000 0.0000
O 5.9628 -1.1787 0.7543
O 5.6419 1.7253 1.6450
O 4.9498 -0.5466 3.5657
O 7.2451 1.1787 4.0049
O 8.2581 0.5466 1.1935
O 7.5661 -1.7253 3.1142
! Spin magnetization   0.235 μB per formula unit
! Space group   R-3, No. 148
! Total DFT energy (no corrections)   -71.33 eV per cell

***

Record 3
! La2MgZnSbO6 (PBE, relaxed); values from VASP
&SYSTEM
  ibrav = 0, nat = 11, ntyp = 5
/
ATOMIC_SPECIES
La 138.91 La.upf
Mg 24.30 Mg.upf
Zn 65.41 Zn.upf
Sb 121.76 Sb.upf
O 16.00 O.upf
CELL_PARAMETERS angstrom
5.8562 0.0819 2.2097
1.7421 5.3612 2.7125
-0.6095 0.1940 5.6291
ATOMIC_POSITIONS angstrom
La 4.4811 4.1612 8.1342
La 1.9466 1.8899 2.4308
Mg 1.7998 4.2305 5.1089
Zn 4.2302 2.1487 5.0816
Sb -0.2788 0.7916 5.2097
O 3.0475 3.3168 3.8698
O 4.3576 0.2286 4.5789
O 0.6614 2.5594 5.5710
O 3.5016 2.3634 6.9550
O 5.9008 3.1678 4.6107
O 2.8348 5.3750 6.5589
! Spin magnetization   1.000 μB per formula unit
! Space group   P1, No. 1
! Offset from the most stable computed form   0.000 eV per atom

***

Record 4
! La2MgZnSbO6 (PBE, relaxed); values from VASP
&SYSTEM
  ibrav = 0, nat = 11, ntyp = 5
/
ATOMIC_SPECIES
La 138.91 La.upf
Mg 24.30 Mg.upf
Zn 65.41 Zn.upf
Sb 121.76 Sb.upf
O 16.00 O.upf
CELL_PARAMETERS angstrom
1.6041 7.0698 -0.3097
-2.5319 5.6452 3.7904
3.2411 4.3789 4.7917
ATOMIC_POSITIONS angstrom
La 1.9254 14.2029 6.8721
La 0.5230 3.8391 1.8571
Mg 1.3436 9.8976 4.7888
Zn 0.9451 6.9630 3.3686
Sb 0.1068 0.7687 0.3709
O -0.9979 7.7912 3.6302
O 2.1365 8.1329 2.0482
O 1.9213 6.6217 5.2292
O 3.2011 9.4744 4.8305
O 0.5794 10.6203 3.1970
O 0.1974 9.2357 6.1639
! Spin magnetization   1.000 μB per formula unit
! Space group   R3, No. 146
! Offset from the most stable computed form   0.053 eV per atom

***

Record 5
! La2MgZnSbO6 (PBE, relaxed); values from VASP
&SYSTEM
  ibrav = 0, nat = 11, ntyp = 5
/
ATOMIC_SPECIES
La 138.91 La.upf
Mg 24.30 Mg.upf
Zn 65.41 Zn.upf
Sb 121.76 Sb.upf
O 16.00 O.upf
CELL_PARAMETERS angstrom
-4.5976 5.0737 -0.6994
-6.5883 -0.3735 -0.2588
-3.8566 1.9712 4.6758
ATOMIC_POSITIONS angstrom
La -10.7076 4.7164 2.7535
La -4.9443 2.1692 1.2150
Mg -1.4366 0.6107 0.5658
Zn -7.8853 3.5986 1.5998
Sb -13.7462 6.1280 3.1868
O -7.2130 2.0316 0.3321
O -5.9286 4.4520 1.3994